**Contents**
/*
1.
DFT (ωB97M-V/def2-TZVPD) results for a gas-phase ion, C4H13N2 (charge +1).

Structure (ORCA input):
```
! RIJCOSX wB97M-V def2-TZVPD def2/J DEFGRID3
* xyz 1 1
C 0.6912 -1.9125 1.1962
C 0.1880 -0.5635 0.7124
N 1.2885 0.4340 0.5204
C -0.6709 -0.6038 -0.5409
C -1.3749 0.7265 -0.7626
N -0.3357 1.7713 -0.9962
H 1.5547 -2.2261 0.6074
H 1.0823 -1.8014 2.2055
H -0.0899 -2.6669 1.1824
H -0.3979 -0.0918 1.4795
H 1.7805 0.5208 1.4032
H 1.9498 0.1277 -0.1864
H -1.4319 -1.3832 -0.4684
H -0.0420 -0.8964 -1.3942
H -2.1135 0.7123 -1.5619
H -1.8575 0.9893 0.1628
H 0.2183 1.5134 -1.8214
H -0.7132 2.6899 -1.1735
H 0.3644 1.7386 -0.2172
*
```

Its structure (SMILES) is C[C@@H](N)CC[NH3+]. The calculation puts the total energy at -7333.1009 eV. The calculation puts the frontier orbital gap at 11.19 eV.

Results of the natural (NBO) charge analysis, in e, for atoms 1 through 6: C -0.62; C -0.05; N -0.87; C -0.43; C -0.22; N -0.70

---

2.
DFT (ωB97M-V/def2-TZVPD) results for a gas-phase ion, C4H13N2 (charge +1).

Structure (ORCA input):
```
! RIJCOSX wB97M-V def2-TZVPD def2/J DEFGRID3
* xyz 1 1
C -2.4949 0.4014 -0.5289
N -1.6221 -0.3230 0.3223
C -0.2259 0.3772 0.8441
N 0.7828 -0.0600 -0.2409
C 1.9951 0.7857 -0.2039
C 1.1072 -1.4838 0.0104
H -2.1169 0.7732 -1.5162
H -3.2230 -0.3059 -0.8804
H -2.9601 1.3231 -0.0521
H -1.9716 -0.3577 1.2940
H 0.1091 -0.2806 1.7038
H -0.3046 1.5405 0.9996
H 0.4197 0.1426 -1.1302
H 1.7551 1.8498 -0.1186
H 2.7165 0.5452 0.5495
H 2.4173 0.6915 -1.1544
H 0.2256 -2.2030 -0.1303
H 1.7547 -1.7753 -0.7078
H 1.6361 -1.6409 0.9399
*
```

Its structure (SMILES) is CNC[NH+](C)C. The calculation puts the total energy at -7330.5518 eV. The calculation puts the frontier orbital gap at 10.91 eV.

Results of the natural (NBO) charge analysis, in e, for atoms 1 through 6: C -0.45; N -0.61; C -0.09; N -0.35; C -0.43; C -0.43

---

For the records above, the corresponding maximum force values read 0.0238; 0.1084 hartree/bohr.
For the records above, the corresponding HOMO energy values read -14.336; -13.842 eV.
For the records above, the corresponding relative energy (zero: lowest compared OMol25 entry of this formula, charge and spin) values read 37.3; 283.2 kJ/mol.


Record 1
C15H32Cl14O7P2S2 | ωB97M-V/def2-TZVPD

Summary:
Energy above the lowest of the compared OMol25 structures with the same formula, charge and spin   0.0 kcal/mol
Kohn-Sham gap   9.3242 eV
Total energy   -9039.25462 a.u.
Structure (SMILES)   CCOP(=O)(CC[C@H]1OS(=O)(=O)O[C@H]1[PH2]=S)OCC.ClCCl.ClCCl.ClCCl.ClCCl.ClCCl.ClCCl.ClCCl
HOMO   -9.126 eV

CARTESIAN COORDINATES (ANGSTROEM)
C -2.348 0.250 -3.405
C -0.912 0.215 -2.889
O -0.775 0.969 -1.665
P -1.348 0.327 -0.333
O -1.137 -1.128 -0.194
C -0.554 1.321 0.916
C -0.909 2.820 0.844
C 0.301 3.663 1.178
O 1.495 3.334 0.446
S 2.082 4.579 -0.328
O 3.481 4.649 -0.127
O 1.523 4.653 -1.624
O 1.420 5.680 0.633
C 0.184 5.217 1.175
P -1.198 6.047 0.225
S -1.826 5.365 -1.467
O -2.879 0.770 -0.272
C -3.924 -0.201 -0.051
C -5.065 0.498 0.654
H -2.878 -0.670 -3.167
H -2.860 1.093 -2.941
H -2.384 0.422 -4.480
H -0.246 0.692 -3.604
H -0.547 -0.800 -2.729
H 0.519 1.159 0.819
H -0.876 0.887 1.867
H -1.687 3.036 1.579
H -1.307 3.063 -0.139
H 0.563 3.405 2.207
H 0.072 5.547 2.209
H -2.170 6.190 1.231
H -0.633 7.328 0.144
H -4.244 -0.577 -1.024
H -3.543 -1.031 0.543
H -5.447 1.311 0.037
H -5.858 -0.211 0.887
H -4.694 0.947 1.576
Cl 2.051 3.604 4.815
C 2.966 2.363 3.940
Cl 1.899 1.187 3.169
H 3.549 2.850 3.166
H 3.606 1.844 4.643
Cl -4.265 -4.163 -2.617
C -2.620 -4.174 -3.258
Cl -2.461 -3.144 -4.693
H -1.951 -3.793 -2.495
H -2.363 -5.188 -3.540
Cl -2.423 -0.029 -8.075
C -1.178 -0.763 -7.061
Cl -0.027 0.424 -6.434
H -1.656 -1.235 -6.211
H -0.634 -1.490 -7.652
Cl 3.977 -0.159 0.417
C 4.744 -1.208 1.617
Cl 4.919 -0.417 3.195
H 4.134 -2.093 1.745
H 5.729 -1.490 1.268
Cl 0.001 -2.000 3.250
C 1.100 -1.979 1.867
Cl 1.852 -3.568 1.595
H 0.535 -1.707 0.979
H 1.884 -1.258 2.063
Cl 5.272 -4.135 3.260
C 6.765 -4.666 2.474
Cl 7.216 -3.622 1.115
*/

**Job**
It remains to work out how many lines further above have the word "entry" in them; a number is enough.

**Done**
1